Request
Could you print every line further below that contains the word "forces"?

Input
C40H44F9N5O5PS2Y | the ωB97M-V functional and the def2-TZVPD basis

```
107
Properties=species:S:1:pos:R:3:forces:R:3
Y -0.005874 0.448250 0.023124 0.6 -0.1 -0.2
C 3.334907 1.841476 -0.555695 0.0 0.1 0.0
O 2.560017 0.694068 -0.177506 -0.3 -0.1 0.0
C 3.373786 -0.475667 -0.031636 0.2 0.0 -0.1
C 2.571239 -1.639768 -0.548881 0.0 -0.1 -0.1
O 1.276357 -1.644638 0.059953 -0.2 0.2 0.0
C 1.092647 -2.489115 1.204187 0.1 -0.1 0.0
C 1.306290 -1.681586 2.462436 0.0 0.0 0.1
O 0.409093 -0.560767 2.463885 0.0 0.1 -0.2
C -0.769068 -0.852613 3.238267 0.0 -0.1 0.1
H 3.811216 1.659196 -1.520450 0.0 0.0 0.0
H 4.089818 2.049868 0.202943 0.0 0.0 0.0
H 2.658545 2.682756 -0.640083 0.0 0.0 0.0
H 3.664989 -0.584471 1.017480 0.0 0.0 -0.1
H 4.289779 -0.373949 -0.622093 -0.1 0.0 0.0
H 3.077254 -2.592542 -0.371986 0.0 0.1 0.0
H 2.390790 -1.527049 -1.620537 0.0 0.0 0.1
H 1.777835 -3.339346 1.150842 0.0 0.1 0.0
H 0.066356 -2.851053 1.141364 0.1 0.0 0.0
H 2.320590 -1.284992 2.528934 0.0 0.0 0.0
H 1.130062 -2.300627 3.346147 0.0 0.0 0.0
H -1.281252 -1.722879 2.830359 0.0 0.0 0.0
H -1.422692 0.011194 3.188149 0.0 0.0 0.0
H -0.479974 -1.025453 4.276213 0.0 0.0 0.0
S -0.439909 -0.361367 -2.557305 0.1 0.1 0.0
C -0.101343 1.315854 -2.792856 0.0 -0.2 0.1
N 0.340325 2.069337 -1.802464 -0.1 0.2 -0.1
C 0.591596 3.375192 -2.245004 0.0 -0.1 0.0
C 1.105627 4.425174 -1.489037 0.0 0.0 0.0
C 1.296063 5.654577 -2.085741 0.0 0.0 -0.1
C 0.976276 5.858788 -3.430970 0.0 0.0 0.1
C 0.471143 4.827490 -4.197694 0.0 0.0 0.0
C 0.289817 3.588416 -3.592261 0.0 0.1 0.0
S -0.291312 2.116647 -4.307272 0.0 0.0 0.0
H 1.344551 4.283878 -0.445241 0.0 0.0 0.1
H 1.698955 6.472715 -1.506486 0.0 0.0 0.0
H 1.129788 6.829925 -3.876929 0.0 0.0 0.0
H 0.235836 4.977775 -5.241260 0.0 0.0 0.0
N -2.658015 1.146965 -0.085156 0.1 0.0 0.1
C -3.324042 -0.037390 -0.664974 0.0 0.0 -0.2
C -4.772880 -0.194870 -0.178433 0.0 0.1 0.0
C -5.584148 -1.400801 -0.662742 0.0 0.0 0.0
C -5.767445 -1.509002 -2.173435 0.0 -0.1 0.0
N -4.530779 -1.993855 -2.781435 -0.1 -0.1 0.0
C -4.311570 -2.096492 -4.076497 0.0 0.1 0.0
N -3.093423 -2.443413 -4.504216 0.1 0.0 0.0
N -5.277125 -1.828505 -4.964102 0.0 0.0 0.0
C -2.437340 -1.246495 -0.369440 0.1 0.2 0.2
O -2.614923 -2.320226 -0.923230 -0.1 -0.4 0.0
O -1.492857 -1.017299 0.480230 -0.4 -0.5 0.0
H -2.818241 1.128825 0.924899 0.0 0.1 -0.1
H -3.109966 1.996270 -0.419300 0.1 -0.1 0.0
H -3.303555 0.096463 -1.750465 0.0 0.0 0.1
H -5.299557 0.722050 -0.462828 0.0 0.0 0.0
H -4.767626 -0.212883 0.916352 0.0 0.0 0.0
H -6.577106 -1.322383 -0.217521 0.0 0.0 0.0
H -5.158710 -2.335499 -0.291567 0.0 0.0 0.0
H -6.034004 -0.535952 -2.598726 0.0 0.0 0.0
H -6.580821 -2.208768 -2.386215 0.0 0.0 0.0
H -3.793728 -2.315136 -2.125103 0.0 0.2 -0.1
H -2.317946 -2.456391 -3.857496 -0.1 0.0 0.0
H -2.894406 -2.562571 -5.481894 0.0 0.0 0.0
H -6.232417 -1.743410 -4.662556 0.0 0.0 0.0
H -5.116258 -1.938514 -5.950994 0.0 0.0 0.0
F -2.177464 8.835409 -0.199614 0.1 0.0 0.0
C -3.084450 7.875489 0.027668 0.0 0.0 0.0
F -3.921902 8.331838 0.966082 0.0 0.0 0.1
F -3.784438 7.714576 -1.097692 -0.1 -0.1 -0.2
C -2.411907 6.593884 0.465227 0.0 0.1 0.1
C -2.329292 5.509952 -0.387696 0.0 0.0 0.0
C -1.672728 4.359777 0.030683 0.0 0.0 -0.1
C -1.090413 4.296135 1.288555 0.0 0.1 0.1
C -1.206045 5.390402 2.153846 0.0 0.0 -0.1
C -1.853994 6.537488 1.740895 0.0 0.0 -0.1
P -0.246868 2.785551 1.837766 0.1 0.3 0.2
C -1.065521 2.502879 3.447417 0.1 0.0 0.0
C -2.458943 2.452035 3.455245 0.0 0.0 -0.1
C -3.146155 2.110156 4.606373 0.0 0.0 0.1
C -2.439882 1.822374 5.765052 0.0 0.0 0.0
C -1.055732 1.908253 5.780874 0.0 0.0 0.0
C -0.368995 2.246158 4.624354 -0.1 0.0 0.0
C -3.161361 1.388017 7.018957 0.0 0.1 0.0
F -3.038507 0.063481 7.199570 0.1 -0.2 0.0
F -4.466172 1.662348 6.964354 -0.1 0.1 -0.1
F -2.659320 1.984564 8.103240 0.1 0.1 0.1
C 1.470813 3.245349 2.255616 -0.1 0.1 0.1
C 2.303264 2.232123 2.733491 0.0 0.0 0.0
C 3.626054 2.494167 3.051236 0.0 0.0 0.0
C 4.134641 3.769891 2.862368 0.0 0.1 0.0
C 3.319027 4.787790 2.388364 0.0 0.0 0.1

Done
Properties=species:S:1:pos:R:3:forces:R:3